My cat died, I'm sad

104  2018-05-13 by jallenpreserve

My cat passed away one week ago due to cancer. My parents didn't tell me until yesterday because I had finals in college.

When I heard the news, I was kind of just surprised and continued on with my day. However after everyone in my house went to sleep, I started looking through the pictures and videos I've taken with her and the memories came flooding back. When I felt out of place in school, she would always get along with me. When I would sleep over at my parents house because I didn't have a social life with norms in college, I would wake up with her purring next to me. When I wanted to LDAR, she would meow super cute and get me out of bed to play with her. I don't cry easily but long story short I ended up sobbing like a bitch.

I feel bad that I didn't get to tell her goodbye or get any pictures of our last moments. On the other hand, I know she lived a great life and I'll never forget her.

I've been on incels/braincels for about a year now, but slowly I've been escaping and reaching normie status through things such as looksmaxing, surgerycel, etc. I guess her death brought me right back to this place. Some of the memories I've had with her rather than with humans are experiences that only you guys truly can understand and relate with. Cats are legit awesome creatures, total life fuel.


My sympathies. I'm glad you had the time together and have a lot of fond memories, but it's hard losing a beloved pet.

Back in college i had a beautiful black cat He lived with us for almost 2 years He was awesome and smart We did not neuter him because We thought it was inhumane took him with us for summer vacation We rented a nice beach house where He met a female pussy lurking around. after that He went AWOL. I miss the little fucker I hope he had great life

he slayed and had a great life doing so

Cats are disloyal.

Your cat loved you more than any femoid ever would. human foids are incapable of tru love.

ancient egyptians worshipped cats and I understand why, but you just know there were some bully egyptian chads that made fun of them for liking cats so much

I will pray to St. Blackops2cel for your cat's soul. He loves all animals and incels dearly.

Amen brother.

Motion to have this guys cat to forever be known on this sub as a disciple of St. Blackops2cel.

What was your cat called?

I'm not OP. My cat is still alive and I call him "B"

Crap. I meant to hit reply to the sub not to yours haha, stupid me/mobile site

I wish B a long and good life, either way :)

We should form an incel senate. I support the motion.

Praise Be Upon Him.

He loves all animals

even femoids?

No, not femoid.

of coursenot

I’m sorry OP. My cat is going through the same thing right now (she’s pretty much been my best friend all throughout college whilst being pretty lonely) and I keep finding new tumors on her. Not looking forward to it but I will probably have to put her down in the next few weeks.

-- begin --
An optimized crystal structure of V3Se2ClO8, computed with PBE with a Hubbard U.

Summary:
The value obtained for the volume is 527.47 Å³ per cell. The calculation puts the electronic total energy at -177.666 eV/cell.

Cell: 6.715 7.916 9.926 Å, 90.11 91.31 90.61°
Space group P-1 (No. 2)
Inequivalent atoms, fractional coordinates:
V: 0.000 0.000 0.000 (multiplicity 1)
V: 0.000 0.000 0.500 (multiplicity 1)
V: 0.222 0.811 0.249 (multiplicity 2)
V: 0.500 0.000 0.000 (multiplicity 1)
V: 0.500 0.000 0.500 (multiplicity 1)
Se: 0.246 0.643 0.948 (multiplicity 2)
Se: 0.249 0.645 0.554 (multiplicity 2)
Cl: 0.137 0.129 0.765 (multiplicity 2)
O: 0.044 0.769 0.577 (multiplicity 2)
O: 0.045 0.770 0.919 (multiplicity 2)
O: 0.247 0.973 0.400 (multiplicity 2)
O: 0.252 0.619 0.121 (multiplicity 2)
O: 0.254 0.973 0.102 (multiplicity 2)
O: 0.259 0.622 0.382 (multiplicity 2)
O: 0.452 0.785 0.584 (multiplicity 2)
O: 0.454 0.777 0.927 (multiplicity 2)

~~~~~

(1)
## K4BaTi6S20O (PBE)

Data for a relaxed structure of K4BaTi6S20O.

Properties
Total energy after the MP2020 corrections (hartree per atom): -0.220
Volume (Å³/atom): 22.75
Formation energy from the elements (eV per atom): -1.57
SG: Fdd2, No. 43

Lattice parameters (Å, degrees): 18.190 17.373 9.660 78.96 69.62 31.42
Sites, in units of the cell vectors:
S (0.509, 0.085, 0.074)
S (0.419, 0.988, 0.666)
S (0.049, 0.480, 0.549)
S (0.670, 0.431, 0.544)
S (0.305, 0.950, 0.468)
S (0.584, 0.322, 0.831)
S (0.480, 0.049, 0.922)
S (0.431, 0.670, 0.355)
S (0.447, 0.024, 0.451)
S (0.129, 0.558, 0.944)
S (0.940, 0.373, 0.629)
S (0.720, 0.524, 0.057)
S (0.558, 0.129, 0.369)
S (0.328, 0.701, 0.770)
S (0.193, 0.551, 0.530)
S (0.306, 0.881, 0.121)
S (0.918, 0.176, 0.165)
S (0.973, 0.782, 0.300)
S (0.176, 0.918, 0.741)
S (0.068, 0.833, 0.644)
S (0.024, 0.447, 0.078)
S (0.524, 0.720, 0.699)
S (0.621, 0.192, 0.310)
S (0.782, 0.973, 0.945)
S (0.950, 0.305, 0.277)
S (0.373, 0.940, 0.058)
S (0.895, 0.706, 0.819)
S (0.833, 0.068, 0.456)
S (0.988, 0.419, 0.928)
S (0.085, 0.509, 0.332)
S (0.701, 0.328, 0.201)
S (0.881, 0.306, 0.692)
S (0.551, 0.193, 0.726)
S (0.322, 0.584, 0.262)
S (0.606, 0.794, 0.182)
S (0.192, 0.621, 0.877)
S (0.799, 0.172, 0.803)
S (0.794, 0.606, 0.417)
S (0.172, 0.799, 0.226)
S (0.706, 0.895, 0.580)
K (0.125, 0.125, 0.875)
K (0.206, 0.206, 0.294)
K (0.375, 0.375, 0.125)
K (0.457, 0.457, 0.543)
K (0.294, 0.294, 0.706)
K (0.707, 0.707, 0.793)
K (0.544, 0.544, 0.956)
K (0.956, 0.956, 0.044)
Ti (0.531, 0.818, 0.468)
Ti (0.024, 0.726, 0.773)
Ti (0.717, 0.433, 0.280)
Ti (0.681, 0.970, 0.817)
Ti (0.970, 0.681, 0.533)
Ti (0.433, 0.717, 0.569)
Ti (0.782, 0.067, 0.719)
Ti (0.818, 0.531, 0.183)
Ti (0.726, 0.024, 0.477)
Ti (0.477, 0.773, 0.226)
Ti (0.067, 0.782, 0.432)
Ti (0.773, 0.477, 0.524)
Ba (0.042, 0.042, 0.458)
Ba (0.792, 0.792, 0.208)
O (0.875, 0.875, 0.625)
O (0.625, 0.625, 0.375)

---

(2)
## LaSc3B4O12 (PBE)

Data for a relaxed structure of LaSc3B4O12.

Properties
-- stop --

It’s never easy and it never gets easier. Pets are just too damn good for this world. You have my deepest sympathies.


Cats are awesome. It's hard to lose them.

Use the memory of her as strength to keep your life on track and ascend. If you were somewhat nearer or at least happier you owe her that much. Nobody truly wants to be here.

Yeah. Whenever you LDAR or stuffs going south, just think "(cats name) wouldn't take this shit!" and get back out there and kick ass.

My sympathies dude. Rest in peace (cats name)

my cat is a tortoiseshell cat, she's bitchy and i love it

I'll enjoy every minutes i get to spend with my cat in the honor of your former friend. Stay strong buddy

I'll enjoy every minutes i get to spend with my cat in the honor of your former friend. Stay strong buddy


Get a new one asap tho, if ur not ur missing out

And we care why exactly

Meancel :(

lucky cat tbh. I wish I died instead of your cat. win-win.

Get a dog, dogs are loyal. Cats don't give a shit about humans. The only reason your cat doesn't eat you is because he knows he's physically too small to achieve that goal.

And that you are an easy endless supply of food for not walking away..

Don't be a cunt, this is not the place.

My dog passed 2 days ago also because of cancer,I know how it feels.

cats are legit most cucked animals. cats resemble women, they think they own your house, see you as purely food provider, have no loyalty and shit/piss all over the place.

unlike loyal controllable honorable dogs.

bros before hoes, dogs before cats.

My cat has never gone outside the litter box in 6 years.

I have two cats this shit is too real nigga

I want to get myself a dog, but I'm scared of shit like this.

Do it. Animals dull the pain of life.

These crystal structures were left in the piece by mistake:
'''
First-principles (PBE) data for a relaxed structure of K2OsCl4O2, as listed in Materials Project.

Unit cell a=6.7393 b=6.7393 c=6.7393 alpha=115.16 beta=115.16 gamma=98.61
With the nearest neighbours (Å) after each atom.
Element x y z (fractional)
K  0.2500  0.7500  0.5000  8 Cl 3.37, 4 O 3.64
K  0.7500  0.2500  0.5000  8 Cl 3.37, 4 O 3.64
Os  0.0000  0.0000  0.0000  2 O 1.76
Cl  0.2365  0.2365  0.4730  1 Os 2.42
Cl  0.2365  0.7635  0.0000  1 Os 2.42
Cl  0.7635  0.2365  0.0000  1 Os 2.42
Cl  0.7635  0.7635  0.5270  1 Os 2.42
O  0.1998  0.1998  0.0000  1 Os 1.76
O  0.8002  0.8002  0.0000  1 Os 1.76

- size of the total moment (μB/atom) = 0.00

=====

First-principles (PBE) data for a relaxed structure of Na3ScF6, as listed in Materials Project.

Unit cell a=5.6526 b=5.8822 c=9.9237 alpha=90.00 beta=123.92 gamma=90.00
With the nearest neighbours (Å) after each atom.
Element x y z (fractional)
Na  0.0000  0.0000  0.0000  6 F 2.26-2.38
Na  0.0000  0.5000  0.5000  6 F 2.26-2.38
Na  0.2246  0.0552  0.7412  4 F 2.33-2.37
Na  0.2246  0.4448  0.2412  4 F 2.33-2.37
Na  0.7754  0.5552  0.7588  4 F 2.33-2.37
Na  0.7754  0.9448  0.2588  4 F 2.33-2.37
Sc  0.5000  0.0000  0.5000  6 F 2.03-2.05
Sc  0.5000  0.5000  0.0000  6 F 2.03-2.05
F  0.1503  0.1787  0.4456  1 Sc 2.03, 1 Na 2.26
F  0.1503  0.3213  0.9456  1 Sc 2.03, 1 Na 2.26
F  0.2513  0.7148  0.4212  1 Sc 2.04
F  0.2513  0.7852  0.9212  1 Sc 2.04
F  0.3964  0.0676  0.2709  1 Sc 2.05
F  0.3964  0.4324  0.7709  1 Sc 2.05
F  0.6036  0.5676  0.2291  1 Sc 2.05
F  0.6036  0.9324  0.7291  1 Sc 2.05
F  0.7487  0.2148  0.0788  1 Sc 2.04
F  0.7487  0.2852  0.5788  1 Sc 2.04
F  0.8497  0.6787  0.0544  1 Sc 2.03, 1 Na 2.26
F  0.8497  0.8213  0.5544  1 Sc 2.03, 1 Na 2.26

=====

First-principles (PBE) data for a relaxed structure of SnF2, as listed in Materials Project.

Unit cell a=7.1719 b=7.1719 c=14.2004 alpha=106.91 beta=106.91 gamma=41.96
With the nearest neighbours (Å) after each atom.
Element x y z (fractional)
Sn  0.1157  0.1248  0.1859  3 F 2.10-2.34
Sn  0.1248  0.1157  0.6859  3 F 2.10-2.34
Sn  0.3495  0.3955  0.0568  3 F 2.13-2.21
Sn  0.3955  0.3495  0.5568  3 F 2.13-2.21
Sn  0.6045  0.6505  0.4432  3 F 2.13-2.21
Sn  0.6505  0.6045  0.9432  3 F 2.13-2.21
Sn  0.8752  0.8843  0.3141  3 F 2.10-2.34
Sn  0.8843  0.8752  0.8141  3 F 2.10-2.34
F  0.0162  0.4844  0.6962  1 Sn 2.10
F  0.0256  0.3212  0.0383  1 Sn 2.13
F  0.0999  0.6719  0.1786  2 Sn 2.16-2.25
F  0.3066  0.6215  0.4143  2 Sn 2.21-2.34
F  0.3212  0.0256  0.5383  1 Sn 2.13
F  0.3281  0.9001  0.3214  2 Sn 2.16-2.25
F  0.3785  0.6934  0.0857  2 Sn 2.21-2.34
F  0.4844  0.0162  0.1962  1 Sn 2.10
F  0.5156  0.9838  0.8038  1 Sn 2.10
F  0.6215  0.3066  0.9143  2 Sn 2.21-2.34
F  0.6719  0.0999  0.6786  2 Sn 2.16-2.25
F  0.6788  0.9744  0.4617  1 Sn 2.13
F  0.6934  0.3785  0.5857  2 Sn 2.21-2.34
F  0.9001  0.3281  0.8214  2 Sn 2.16-2.25
F  0.9744  0.6788  0.9617  1 Sn 2.13
F  0.9838  0.5156  0.3038  1 Sn 2.10

=====
'''

Sad thing. The cat I inherited from my suicided ex has stopped eating and drinking and no doubt will require her own overdose later today.

I'm so sorry for your loss. I understand how hard it can be to lose a pet, especially when they pass suddenly.

You'll see each other again at the base of the rainbow bridge.

Dude, I’m sorry to hear that. Cats are pretty great.

I'm sorry, losing a beloved Pat is rough

We are all born to die. The thought of my cat dying is too horrible to contemplate, but it will happen. All I can do is love and provide for her while she's here.


It was a female roastie cat who gives a fuck?

maybe consider getting another cat ?


Do it. Animals dull the pain of life.